Thursday, December 20, 2012

United Nations and WHO Suspends Vaccine Work

The heading above is from the New York Times. It further says: the front-line heroes of Pakistan’s war on polio are its volunteers: young women who tread fearlessly from door to door, in slums and highland villages, administering precious drops of vaccine to children in places where their immunization campaign is often viewed with suspicion.
These beautifully done hina colored toe-nails have brought tears....I call the killings: savagery!

The World Health Organization and Unicef ordered their staff members off the streets, while government officials reported that some polio volunteers — especially women — were afraid to show up for work.  After militants stalked and killed eight of them over the course of a three-day, nationwide vaccination drive.

A very beautiful little girl is showing her finger with a mark that signifies she has been vaccinated - even these young girls are targets!

The killings started in the port city of Karachi on Monday, the first day of a vaccination drive aimed at the worst affected areas, with the shooting of a male health worker. On Tuesday four female polio workers were killed, all gunned down by men on motorcycles. The hit jobs then moved to Peshawar, The first victim there was one of two sisters who had volunteered as polio vaccinators. Men on motorcycles shadowed them as they walked from house to house. Once the sisters entered a quiet street, the gunmen opened fire. One of the sisters, Farzana, died instantly; the other was uninjured. One of the vilunteers was a 17 years old high school girl - shot in Peshawar.

........
(1)
AgHg2Se: calculated powder XRD pattern (CuKα), based on a crystal structure in Alexandria, relaxed with PBE.
Lines closer than 0.1° are merged.

Crystal structure
abc: 14.2358 3.8792 3.8828
angles: 90.00 105.49 90.00
Space group C2/m (No. 12)
Asymmetric unit:
Ag  0.0000  0.0000  0.0000 (multiplicity 2)
Hg  0.2088  0.5000  0.7096 (multiplicity 4)
Se  0.0000  0.5000  0.5000 (multiplicity 2)

Principal peaks in the range 15° ≤ 2θ ≤ 90°, low angle first:
hkl 4 0 0, 2θ 25.98, intensity 40; hkl 2 0 1, 2θ 30.11, intensity 17; hkl 4 0 -1, 2θ 30.24, intensity 51; hkl 1 1 -1, 2θ 32.63, intensity 100; hkl 5 1 0, 2θ 40.26, intensity 20; hkl 3 1 1, 2θ 42.08, intensity 22; hkl 5 1 -1, 2θ 42.26, intensity 22; hkl 0 2 0, 2θ 46.82, intensity 37


(2)
SiAg2Hg: calculated powder XRD pattern (CuKα), based on a crystal structure in Alexandria, relaxed with PBE.
Lines closer than 0.1° are merged.

Crystal structure
abc: 2.8493 4.3076 13.3513
angles: 90.00 90.00 90.00
Space group Imm2 (No. 44)
Asymmetric unit:
Si  0.0000  0.0000  0.0000 (multiplicity 2)
Ag  0.0000  0.0000  0.4581 (multiplicity 2)
Ag  0.0000  0.5000  0.6661 (multiplicity 2)
Hg  0.0000  0.5000  0.2805 (multiplicity 2)

Principal peaks in the range 15° ≤ 2θ ≤ 90°, low angle first:
hkl 0 1 3, 2θ 28.85, intensity 100; hkl 1 0 1, 2θ 32.12, intensity 26; hkl 0 1 5, 2θ 39.71, intensity 18; hkl 1 1 2, 2θ 40.28, intensity 85; hkl 0 2 0, 2θ 41.95, intensity 27; hkl 1 0 5, 2θ 46.62, intensity 30; hkl 1 2 5, 2θ 64.49, intensity 22; hkl 1 1 8, 2θ 68.72, intensity 27


(3)
Sm6AgHg2: calculated powder XRD pattern (CuKα), based on a crystal structure in Alexandria, relaxed with PBE.
Lines closer than 0.1° are merged.

Crystal structure
abc: 5.2319 12.8898 15.6733
angles: 90.00 90.00 90.00
Space group Fmmm (No. 69)
Asymmetric unit:
Sm  0.0000  0.1496  0.0000 (multiplicity 8)
Sm  0.0000  0.1524  0.3342 (multiplicity 16)
Ag  0.0000  0.0000  0.5000 (multiplicity 4)
Hg  0.0000  0.0000  0.1672 (multiplicity 8)

Principal peaks in the range 15° ≤ 2θ ≤ 90°, low angle first:
hkl 1 3 3, 2θ 31.94, intensity 100; hkl 2 0 0, 2θ 34.30, intensity 44; hkl 0 6 0, 2θ 42.06, intensity 10; hkl 2 0 6, 2θ 49.30, intensity 16; hkl 2 6 0, 2θ 55.35, intensity 18; hkl 3 3 3, 2θ 59.95, intensity 33; hkl 2 6 6, 2θ 66.76, intensity 10; hkl 3 3 9, 2θ 81.21, intensity 7


(4)
Sm5Ag2Hg2: calculated powder XRD pattern (CuKα), based on a crystal structure in Alexandria, relaxed with PBE.
Lines closer than 0.1° are merged.

Crystal structure
abc: 17.0543 7.4798 8.0224
angles: 90.00 90.00 90.00
Space group Cmce (No. 64)
Asymmetric unit:
Sm  0.0000  0.0000  0.0000 (multiplicity 4)
Sm  0.1384  0.1756  0.3248 (multiplicity 16)
Ag  0.0000  0.1200  0.6333 (multiplicity 8)
Hg  0.2154  0.0000  0.0000 (multiplicity 8)

Principal peaks in the range 15° ≤ 2θ ≤ 90°, low angle first:
........

Resistance is particularly strong all over Pakistan, where there has been a severe backlash against immunization for polio and other diseases since the CIA used a Pakistani doctor, Shakil Afridi, to set up a fake vaccination program as the agency closed in on the al-Qaida leader Osama bin Laden in his hiding place in the town of Abbottabad, in the north-western province of Khyber Pakhtunkhwa, last year.

Female polio workers here make for easy targets. They wear no uniform but are readily recognizable, with clipboards and refrigerated vaccine boxes, walking door to door. They work in pairs — including at least one woman — and are paid just over $2.50 a day. Most days one team can vaccinate 150 to 200 children.

All these women, who volunteered, despite of having real and imminent danger - chose to work in some of the most hazardous of Pakistani areas. Hats off to them, they are the bravest of all women, risking their lives.

- - -
This entry pairs a crystal structure of VP2O with its theoretical X-ray diffraction stick pattern. Radiation: copper Kα. Structure: DFT lattice parameters and positions (PBE+U).
Kinematic intensities with the Lorentz-polarization factor, no thermal factor.

Top 10 peaks for 10 to 90 degrees two-theta, in order of rising 2θ:
| 2theta | I_rel |
| --- | --- |
| 32.91 | 100 |
| 37.33 | 31 |
| 39.92 | 10 |
| 44.99 | 30 |
| 49.55 | 10 |
| 56.85 | 27 |
| 59.70 | 27 |
| 65.51 | 7 |
| 70.87 | 9 |
| 86.37 | 6 |

Atomic structure:
Unit cell a=5.4642 b=5.4642 c=5.4642 alpha=117.13 beta=117.13 gamma=95.04
Atoms (fractional coordinates):
V 0.0000 0.0000 0.0000
V 0.7500 0.2500 0.5000
P 0.1883 0.6250 0.0633
P 0.3750 0.4383 0.5633
P 0.5617 0.1250 0.9367
P 0.8750 0.8117 0.4367
O 0.2500 0.7500 0.5000
O 0.5000 0.5000 0.0000

~~~~~

# 1
Computed X-ray diffraction stick pattern
Compound: FeAgP2
Radiation: a wavelength of 1.5418 Å
Structure: a structure optimized by DFT (PBE)
Peak positions follow from Bragg's law for the DFT cell and can differ from measured ones.

Main lines, by angle (2θ = 5–70°):
| d_spacing | two_theta | Rel. int. |
| --- | --- | --- |
| 3.405 | 26.2 | 62 |
| 3.059 | 29.2 | 34 |
| 2.676 | 33.5 | 58 |
| 2.259 | 39.9 | 45 |
| 2.033 | 44.6 | 100 |
| 2.014 | 45.0 | 34 |

Structural model:
```
8
Lattice="2.7137 0.0000 0.0000 0.0000 3.5456 0.0000 0.0000 0.0000 12.2355" Properties=species:S:1:pos:R:3 pbc="T T T"
Fe 0.0000 0.0000 0.0000
Fe 1.3568 1.7728 6.1178
Ag 0.0000 1.7728 3.4529
Ag 1.3568 0.0000 9.5707
P 0.0000 0.0000 5.4937
P 0.0000 1.7728 7.9077
P 1.3568 0.0000 1.7899
P 1.3568 1.7728 11.6115
```

***

# 2
Computed X-ray diffraction stick pattern
Compound: Fe2AgP
Radiation: a wavelength of 1.5418 Å
Structure: a structure optimized by DFT (PBE)
Peak positions follow from Bragg's law for the DFT cell and can differ from measured ones.

Main lines, by angle (2θ = 5–70°):
| d_spacing | two_theta | Rel. int. |
| --- | --- | --- |
| 3.554 | 25.1 | 19 |
| 2.866 | 31.2 | 25 |
| 2.510 | 35.8 | 70 |
| 2.229 | 40.5 | 23 |
| 2.128 | 42.5 | 100 |
| 1.900 | 47.9 | 24 |

Structural model:
```
8
Lattice="2.9903 0.0000 0.0000 0.0000 3.8003 0.0000 0.0000 0.0000 10.0303" Properties=species:S:1:pos:R:3 pbc="T T T"
Fe 0.0000 0.0000 0.0000
Fe 0.0000 1.9002 1.5872
Fe 1.4951 0.0000 6.6023
Fe 1.4951 1.9002 5.0152
Ag 0.0000 1.9002 7.7886
Ag 1.4951 0.0000 2.7735
P 0.0000 0.0000 4.9786
P 1.4951 1.9002 9.9937
```

***

# 3
Computed X-ray diffraction stick pattern
Compound: Fe4AgPb
Radiation: a wavelength of 1.5418 Å
Structure: a structure optimized by DFT (PBE)
Peak positions follow from Bragg's law for the DFT cell and can differ from measured ones.

Main lines, by angle (2θ = 5–70°):
| d_spacing | two_theta | Rel. int. |
| --- | --- | --- |
| 4.108 | 21.6 | 22 |
| 2.516 | 35.7 | 66 |
| 2.145 | 42.1 | 100 |
| 2.054 | 44.1 | 15 |
| 1.453 | 64.1 | 24 |
| 1.369 | 68.5 | 30 |

Structural model:
```
6
- - -

More read here.